[Listing]
- - -
Record 1
The following is a PBE calculation of CaPm5Pb3 after structural relaxation, from Alexandria.

Properties
Total moment in μB per atom: 0.240
Calculated formation energy in kcal/mol of atoms: -10.14

The structure in CIF format:
```
data_CaPm5Pb3
_chemical_formula_sum 'Ca2 Pm10 Pb6'
_space_group_name_H-M_alt 'P 63/m c m'
_space_group_IT_number 193
_space_group_name_Hall '-P 6c 2'
_cell_length_a 9.6950
_cell_length_b 9.6950
_cell_length_c 6.8112
_cell_angle_alpha 90.00
_cell_angle_beta 90.00
_cell_angle_gamma 120.00
loop_
_atom_site_label
_atom_site_fract_x
_atom_site_fract_y
_atom_site_fract_z
Ca1 0.0000 0.0000 0.0000
Pm1 0.0000 0.3339 0.2500
Pm2 0.3333 0.6667 0.0000
Pb1 0.0000 0.3345 0.7500
```

***

Record 2
The following is a PBE calculation of Ca4PmPb5 after structural relaxation, from Alexandria.

Properties
Total moment in μB per atom: 0.000
Calculated formation energy in kcal/mol of atoms: -11.80

The structure in CIF format:
```
data_Ca4PmPb5
_chemical_formula_sum 'Ca4 Pm1 Pb5'
_space_group_name_H-M_alt 'P 4/m m m'
_space_group_IT_number 123
_space_group_name_Hall '-P 4 2'
_cell_length_a 3.5906
_cell_length_b 3.5906
_cell_length_c 23.2350
_cell_angle_alpha 90.00
_cell_angle_beta 90.00
_cell_angle_gamma 90.00
loop_
_atom_site_label
_atom_site_fract_x
_atom_site_fract_y
_atom_site_fract_z
Ca1 0.0000 0.0000 0.1003
Ca2 0.0000 0.0000 0.2987
Pm1 0.0000 0.0000 0.5000
Pb1 0.5000 0.5000 0.0000
Pb2 0.5000 0.5000 0.1998
Pb3 0.5000 0.5000 0.3995
```

***

Record 3
The following is a PBE calculation of CaPm2Pb2 after structural relaxation, from Alexandria.

Properties
Total moment in μB per atom: 0.000
Calculated formation energy in kcal/mol of atoms: -5.92
E above lowest polymorph in meV/atom: 275.7

The structure in CIF format:
```
data_CaPm2Pb2
_chemical_formula_sum 'Ca2 Pm4 Pb4'
_space_group_name_H-M_alt 'C 1 2/m 1'
_space_group_IT_number 12
_space_group_name_Hall '-C 2y'
_cell_length_a 7.8215
_cell_length_b 6.6213
_cell_length_c 7.2096
_cell_angle_alpha 90.00
_cell_angle_beta 112.03
_cell_angle_gamma 90.00
loop_
_atom_site_label
_atom_site_fract_x
_atom_site_fract_y
_atom_site_fract_z
Ca1 0.0000 0.0000 0.0000
Pm1 0.0000 0.2526 0.5000
Pb1 0.1607 0.5000 0.1979
```

***

Question: Which formula does entry 2 have?
Answer: Ca4PmPb5
- - -
[Request]
Now duplicate all of the entries above word for word.
[Here it is]
Record 1
The following is a PBE calculation of CaPm5Pb3 after structural relaxation, from Alexandria.

Properties
Total moment in μB per atom: 0.240
Calculated formation energy in kcal/mol of atoms: -10.14

The structure in CIF format:
```
data_CaPm5Pb3
_chemical_formula_sum 'Ca2 Pm10 Pb6'
_space_group_name_H-M_alt 'P 63/m c m'
_space_group_IT_number 193
_space_group_name_Hall '-P 6c 2'
_cell_length_a 9.6950
_cell_length_b 9.6950
_cell_length_c 6.8112
_cell_angle_alpha 90.00
_cell_angle_beta 90.00
_cell_angle_gamma 120.00
loop_
_atom_site_label
_atom_site_fract_x
_atom_site_fract_y
_atom_site_fract_z
Ca1 0.0000 0.0000 0.0000
Pm1 0.0000 0.3339 0.2500
Pm2 0.3333 0.6667 0.0000
Pb1 0.0000 0.3345 0.7500
```

***

Record 2
The following is a PBE calculation of Ca4PmPb5 after structural relaxation, from Alexandria.

Properties
Total moment in μB per atom: 0.000
Calculated formation energy in kcal/mol of atoms: -11.80

The structure in CIF format:
```
data_Ca4PmPb5
_chemical_formula_sum 'Ca4 Pm1 Pb5'
_space_group_name_H-M_alt 'P 4/m m m'
_space_group_IT_number 123
_space_group_name_Hall '-P 4 2'
_cell_length_a 3.5906
_cell_length_b 3.5906
_cell_length_c 23.2350
_cell_angle_alpha 90.00
_cell_angle_beta 90.00
_cell_angle_gamma 90.00
loop_
_atom_site_label
_atom_site_fract_x
_atom_site_fract_y
_atom_site_fract_z
Ca1 0.0000 0.0000 0.1003
Ca2 0.0000 0.0000 0.2987
Pm1 0.0000 0.0000 0.5000
Pb1 0.5000 0.5000 0.0000
Pb2 0.5000 0.5000 0.1998
Pb3 0.5000 0.5000 0.3995
```

***

Record 3
The following is a PBE calculation of CaPm2Pb2 after structural relaxation, from Alexandria.

Properties
Total moment in μB per atom: 0.000
Calculated formation energy in kcal/mol of atoms: -5.92
E above lowest polymorph in meV/atom: 275.7

The structure in CIF format:
```
data_CaPm2Pb2
_chemical_formula_sum 'Ca2 Pm4 Pb4'
_space_group_name_H-M_alt 'C 1 2/m 1'
_space_group_IT_number 12
_space_group_name_Hall '-C 2y'
_cell_length_a 7.8215
_cell_length_b 6.6213
_cell_length_c 7.2096
_cell_angle_alpha 90.00
_cell_angle_beta 112.03
_cell_angle_gamma 90.00
loop_
_atom_site_label
_atom_site_fract_x
_atom_site_fract_y
_atom_site_fract_z
Ca1 0.0000 0.0000 0.0000
Pm1 0.0000 0.2526 0.5000
Pb1 0.1607 0.5000 0.1979
```

***

Question: Which formula does entry 2 have?
Answer: Ca4PmPb5